View Full Version : .....Deadly negative sins....

02-07-15, 02:41
....deadly negative sins....
My Catholic is coming out in me.

This could be in conjunction with Riders or any of the other information threads.

What are they. They are negative thoughts and attitudes that hinder progress because they muddy everything down stream. No matter how positive a thought is one of these can destroy it. Nothing passes through one of these without being changed.

Presumption: First because it is the most common and therefore the most deadly positive killer. Deadly because it echo's yourself or your thought.
Never presume and never speak out loud what you presume, stick to what you know is fact. You can not take back mistakes. Sorry only takes away some of the sting.

Worry: Next most common closely related to doubt which will be third.

Doubt: these two really do belong together, They are the biggest builders of Riders.

Exaggeration: Anything that strays from fact is negative.

Outright lies: These automatically go to Amygdala for consideration.

Avoidance: With no planned action you give the brain no alternative but to do what it did last time.

These are the biggies and the most effect on recovery. You can probably think of lots of little guys that fit somewhere in here. any one of these has the power to turn a whole days positive into negative.

02-07-15, 05:11
Avoidance is a big one although it can appear subtle to people. If you back away from experiences that cause anxiety, you signal to your subconscious that it is right to do this. Under some circumstances this is fine, but not when it is about anxiety. If you have a disorder, it will build from things like this, if you have normal levels of anxiety you can choose to let it build and possibly become a problem or be annoyed and move on in which case its a lesser event.

What I find difficult though with avoidance is that in some cases it can be more damaging not to avoid. One example I have is in my work environment. If I had stayed, it would have just got much worse so I had to take time off - avoidance. The trouble with this is that if you don't work on your disorder throughout that period, your bubble shrinks and you don't realise that it will be even harder when you go back. I've been through this one.

Doubt is a big one for someone like me with OCD. Years ago it used to be called "the doubters disease". I've always seen it as a lack of self trust. You feel that you must make checks or mitigate because you cannot trust what you did whether it be a routine in memory or not.

Exaggeration is an obvious one. It fits very neatly into more than one Cognitive Distortion e.g. catastrophizing, maximising & minimising and even labelling to name a few.

Something that strikes me in modern society is how exaggeration has become a norm. For instance, people say "I'm dieing" or "I'm starving". There are examples that were around when I was a child and we used them because we pick them up off others. I wonder whether because we get used to using stronger negatives like this, whether we ultimately entrap ourselves in negative undercurrents that at the time we don't actually observe?

02-07-15, 05:56
Getting trapped. Yes. Like in words, what do you have when your brain has two meanings for a word to choose from. When only emotion separates them, I'm dying figuratively, I'm dying literally. The beginning of HA???

---------- Post added at 21:56 ---------- Previous post was at 21:54 ----------

Was just thinking that in your case avoidance isn't, it is advancement. But you have to think that way to make it so. It was for me too. And often.

02-07-15, 06:02
Yes, I think I've seen that more on HA threads but with the volume of them dominating NMP, it would be hard to say. I can't say its something I hear much on the OCD side. Maybe GAD, but it could be mixed in with out fears on there. Certainly on the Panic board, which makes sense with PA's.

That doesn't mean to suggest a difference in strength of character or alarmism though. Personally, I find the HA board more likely to be showing a spiralling chain of thought displaying catastrophizing but its seen everywhere, perhaps in different ways. I'm not sure why that is though. I guess there are a load of complexities to consider and so much will be individual.

---------- Post added at 06:02 ---------- Previous post was at 05:58 ----------

Misplaced calculated crystals >
1.
Pr3Ir | GGA-PBE | optimized geometry

```
16
Lattice="7.427 0.000 0.000 0.000 9.991 0.000 0.000 0.000 6.589" Properties=species:S:1:pos:R:3 pbc="T T T"
Pr 0.251 2.498 0.916
Pr 1.299 0.661 4.422
Pr 1.299 4.335 4.422
Pr 2.414 5.656 1.128
Pr 2.414 9.330 1.128
Pr 3.462 7.493 4.211
Pr 3.965 2.498 2.378
Pr 5.013 0.661 5.461
Pr 5.013 4.335 5.461
Pr 6.128 5.656 2.166
Pr 6.128 9.330 2.166
Pr 7.176 7.493 5.672
Ir 0.870 7.493 2.874
Ir 2.843 2.498 6.169
Ir 4.584 7.493 0.420
Ir 6.557 2.498 3.714
```

VASP energy: -99.54 eV for the cell shown
space group: Pnma (62)

=====

2.
CrSn2 | GGA-PBE | optimized geometry

```
12
Lattice="0.000 4.675 9.228 2.711 0.000 9.228 2.711 4.675 0.000" Properties=species:S:1:pos:R:3 pbc="T T T"
Cr 2.033 3.506 0.031
Cr 3.388 5.844 4.644
Cr 2.033 3.506 13.811
Cr 3.388 5.844 18.425
Sn 2.033 0.373 6.921
Sn 3.388 2.711 11.535
Sn 2.033 3.506 5.420
Sn 2.033 3.506 8.422
Sn 3.388 5.844 10.033
Sn 3.388 5.844 13.036
Sn 2.033 6.639 6.921
Sn 3.388 8.977 11.535
```

VASP energy: -68.91 eV for the cell shown
space group: Fddd (70)

=====

3.
NdDyIn2 | GGA-PBE | optimized geometry

```
4
Lattice="0.000 3.827 3.827 3.827 0.000 3.827 3.827 3.827 0.000" Properties=species:S:1:pos:R:3 pbc="T T T"
Nd 0.000 0.000 0.000
Dy 3.827 3.827 3.827
In 1.914 1.914 1.914
In 5.741 5.741 5.741
```

VASP energy: -16.76 eV for the cell shown
space group: Fm-3m (225)

=====

4.
BePH3O5 | GGA-PBE | optimized geometry

```
40
Lattice="8.705 0.000 0.000 0.000 8.948 0.000 0.000 0.000 5.169" Properties=species:S:1:pos:R:3 pbc="T T T"
Be 1.450 0.901 0.000
Be 2.903 5.375 2.584
Be 5.802 3.573 0.000
Be 7.255 8.047 2.584
P 1.631 8.203 2.406
P 2.722 3.729 4.990
P 5.983 5.220 2.406
P 7.075 0.746 4.990
H 0.129 2.477 3.718
H 0.509 3.443 2.562
H 1.373 5.180 0.807
H 2.979 0.705 3.391
H 3.843 7.917 5.146
H 4.224 6.951 1.133
H 4.481 1.997 3.718
H 4.862 1.032 2.562
H 5.726 8.243 0.807
H 7.332 3.769 3.391
H 8.196 5.506 5.146
H 8.577 6.471 1.133
O 0.132 8.026 2.515
O 0.249 5.987 0.370
O 1.985 2.402 5.037
O 2.076 0.062 1.190
O 2.131 0.134 3.687
O 2.222 4.609 1.103
O 2.277 4.536 3.774
O 2.368 6.877 2.453
O 4.104 1.513 2.955
O 4.220 3.552 5.099
O 4.485 5.396 2.515
O 4.602 7.436 0.370
O 6.337 2.072 5.037
O 6.428 4.412 1.190
O 6.484 4.340 3.687
O 6.574 8.814 1.103
O 6.630 8.886 3.774
O 6.720 6.546 2.453
O 8.456 2.962 2.955
O 8.573 0.922 5.099
```

VASP energy: -247.74 eV for the cell shown
space group: Pna2_1 (33)
largest piezoelectric modulus: 0.43 C/m²

=====

5.
Ca2Ta10Si9S9O72 | GGA-PBE | optimized geometry

```
102
Lattice="8.919 0.000 0.000 4.452 7.766 0.000 0.080 0.069 22.999" Properties=species:S:1:pos:R:3 pbc="T T T"
Ca 0.000 0.000 0.000
Ca 4.609 7.751 11.562
Ta 4.419 7.679 4.998
Ta 4.694 7.725 16.593
Ta 4.526 2.522 8.684
Ta 4.533 2.484 15.600
Ta 4.570 2.479 4.002
Ta 4.679 2.568 20.273
Ta 8.995 5.176 12.720
Ta 9.002 5.090 19.126
Ta 8.974 5.097 1.108
Ta 9.005 5.137 7.603
Si 2.064 2.557 17.954
Si 3.306 4.738 6.343
Si 2.677 0.051 14.000
Si 3.204 0.340 6.353
Si 5.827 4.752 17.857
Back to the article >

Was just thinking that in your case avoidance isn't, it is advancement. But you have to think that way to make it so. It was for me too. And often.

This might offer some insight into it, I guess:


The line between unhelpul safety behaviours and healthy adaptive behaviours - intention.

02-07-15, 06:28
You must have one hell of a file.

• Inserted here: data records:
=====
Density functional theory data (GGA+U) for a geometry-optimized Li5Mn2CoO8 structure.

Results
The MP2020-corrected energy is -107.0 eV per cell. The formation energy is -2026 meV/atom. As for the total magnetic moment: 8.00 μB/f.u.

Cell and atoms, written as POSCAR:
```
Li5Mn2CoO8
1.0
5.130 -2.857 0.000
5.130 2.857 0.000
-1.899 0.000 4.770
Li Mn Co O
5 2 1 8
Direct
0.000 0.000 0.000
0.000 0.500 0.000
0.249 0.249 0.495
0.500 0.000 0.000
0.751 0.751 0.505
0.249 0.751 0.500
0.751 0.249 0.500
0.500 0.500 0.000
0.117 0.117 0.718
0.157 0.632 0.745
0.368 0.843 0.255
0.381 0.381 0.274
0.619 0.619 0.726
0.632 0.157 0.745
0.843 0.368 0.255
0.883 0.883 0.282
```

Density functional theory data (GGA+U) for a geometry-optimized Li4Mn3CoO8 structure.

Results
The MP2020-corrected energy is -114.0 eV per cell. The formation energy is -2013 meV/atom. As for the total magnetic moment: 14.00 μB/f.u.

Cell and atoms, written as POSCAR:
```
Li4Mn3CoO8
1.0
3.094 0.000 0.000
0.430 5.051 0.000
0.983 2.136 9.736
Li Mn Co O
4 3 1 8
Direct
0.001 0.251 0.251
0.499 0.747 0.253
0.501 0.253 0.747
0.999 0.749 0.749
0.000 0.000 0.000
0.500 0.000 0.500
0.500 0.500 0.000
0.000 0.500 0.500
0.021 0.142 0.614
0.024 0.635 0.116
0.476 0.865 0.883
0.478 0.368 0.387
0.522 0.632 0.613
0.524 0.135 0.117
0.976 0.365 0.884
0.979 0.858 0.386
```

Question: total magnetic moment of number 1 (Li5Mn2CoO8)?
Answer: 8.00 μB/f.u.

Repeat the second record exactly.
Density functional theory data (GGA+U) for a geometry-optimized Li4Mn3CoO8 structure.

Results
The MP2020-corrected energy is -114.0 eV per cell. The formation energy is -2013 meV/atom. As for the total magnetic moment: 14.00 μB/f.u.

Cell and atoms, written as POSCAR:
```
Li4Mn3CoO8
1.0
3.094 0.000 0.000
0.430 5.051 0.000
0.983 2.136 9.736
Li Mn Co O
4 3 1 8
Direct
0.001 0.251 0.251
0.499 0.747 0.253
0.501 0.253 0.747
0.999 0.749 0.749
0.000 0.000 0.000
0.500 0.000 0.500
0.500 0.500 0.000
0.000 0.500 0.500
0.021 0.142 0.614
0.024 0.635 0.116
0.476 0.865 0.883
0.478 0.368 0.387
0.522 0.632 0.613
0.524 0.135 0.117
0.976 0.365 0.884
0.979 0.858 0.386
```

Question: The highest total magnetic moment belongs to which entry?
Answer: Li4Mn3CoO8

Question: The highest total magnetic moment belongs to which entry?
Answer: Li4Mn3CoO8

* * * * *

Entry 1:
A plane-wave DFT calculation with PBE-GGA was carried out for a relaxed BaLa2Te5O14 crystal.

The formation energy is -2.32 eV/atom.

The structure in extended XYZ format:
```
44
Lattice="3.297 -7.346 6.230 7.315 -2.770 6.517 -4.369 3.065 12.322" Properties=species:S:1:pos:R:3 pbc="T T T"
O -3.140 2.313 12.072
O 1.490 -2.039 7.703
O -1.263 0.430 5.889
O -0.686 -2.783 16.387
O 4.522 -6.086 13.051
O 2.620 -3.960 5.765
O 2.409 -5.394 14.676
O 1.721 -0.964 12.018
O 1.212 -2.704 14.290
O 3.623 -3.090 19.303
O 2.109 -3.654 16.887
O -0.882 -0.029 10.961
O -0.448 -0.227 13.881
O 6.064 -7.821 8.620
O 4.134 -3.396 8.181
O 0.428 -2.967 10.150
O 9.383 -9.363 12.996
O 1.419 -1.429 4.809
=====

---------- Post added at 22:28 ---------- Previous post was at 22:22 ----------

Amygdala has a whole memory full of intentions. One for each possible situation.

03-07-15, 07:08
Just a good memory :D

One that I must admit to have my own struggles with is avoidance as mentioned above. In my decisions for work is was based not only on the struggle it would be to go back but also out of the desire for more than the crappy existence that I was ending up in.

So, whilst there wasn't a complete positive, maybe there wasn't a complete negative either? Based on what I've just said, it could be a rider.

Can a positive be a rider on a negative?

The subtle avoidance issue is problematic. Changing it to become a healthy adaptive behaviour is far from clear. I struggle with this one to be honest.

03-07-15, 08:27
Yes. That is what challenge does if there is belief also.This is the only time neg and positive are one on one. A positive rider to a thought carries the thought past Amygdala and the negative thought becomes a neutral fact since it isn't used for direction. It goes into regular memory, not Amygdala's.

**Materials data that have nothing to do with the text:**
-- begin --
1.
The following is a GGA+U calculation of a relaxed structure of V3OF11, from Materials Project.

a = 5.2681 Å, b = 5.4509 Å, c = 14.7328 Å
α = 79.64°, β = 89.98°, γ = 89.91°
Closest atoms and distances in Å follow each position.
Atoms (fractional coordinates):
V  0.0000  0.0000  0.0000  6 F 1.76-1.97
V  0.0038  0.3316  0.3349  4 F 1.76-1.96
V  0.4923  0.1557  0.6659  4 F 1.77-1.97
V  0.5000  0.5001  0.0000  6 F 1.76-1.97
V  0.5088  0.8337  0.3274  1 O 1.62
V  0.9765  0.6267  0.6698  1 O 1.65, 2 F 1.77
O  0.5823  0.8783  0.2190  1 V 1.62
O  0.7959  0.3751  0.6893  1 V 1.65
F  0.0825  0.2917  0.4526  1 V 1.76
F  0.0861  0.9585  0.1178  1 V 1.77
F  0.0922  0.6355  0.7821  1 V 1.77
F  0.1984  0.3104  0.9752  2 V 1.97
F  0.2070  0.6383  0.3091  2 V 1.96
F  0.2070  0.9733  0.6433  1 V 1.87
F  0.2876  0.4712  0.6429  2 V 1.92-2.00
F  0.2984  0.1369  0.3093  2 V 1.95-1.97
F  0.3017  0.8102  0.9755  2 V 1.96
F  0.4120  0.7905  0.4495  1 V 1.84
F  0.4136  0.4572  0.1178  1 V 1.77
F  0.4237  0.1291  0.7848  1 V 1.77
F  0.5875  0.5425  0.8826  1 V 1.76
F  0.5884  0.2168  0.5489  1 V 1.77
F  0.6986  0.1900  0.0249  2 V 1.96
F  0.7028  0.5305  0.3595  2 V 1.93-1.99
F  0.7106  0.8576  0.6916  2 V 1.95-1.97
F  0.7926  0.0273  0.3599  2 V 1.94-1.98
F  0.8017  0.6897  0.0251  2 V 1.97
F  0.9127  0.3757  0.2179  1 V 1.76
F  0.9135  0.0420  0.8825  1 V 1.76
F  0.9271  0.7277  0.5502  1 V 1.77

Energy = -5.69 eV/atom
Calculated volume = 13.872 Å³ per atom
Symmetry = No. 1
Total magnetization = 2.0 μB/f.u.
Energy above the lowest structure with this stoichiometry = 31 meV/atom
ΔH_f (0 K) = -2.87 eV/atom


2.
The following is a GGA+U calculation of a relaxed structure of Li9Mn7O16, from Materials Project.

a = 5.0776 Å, b = 5.1080 Å, c = 12.0471 Å
α = 78.30°, β = 81.51°, γ = 79.09°
Closest atoms and distances in Å follow each position.
Atoms (fractional coordinates):
Li  0.0000  0.0000  0.0000  6 O 2.07-2.22
Li  0.2316  0.4344  0.0548  6 O 2.03-2.28
Li  0.2413  0.1835  0.3029  6 O 2.11-2.36
Li  0.2437  0.9324  0.5544  5 O 2.11-2.13
Li  0.2481  0.6876  0.8181  5 O 1.99-2.23
Li  0.7519  0.3124  0.1819  5 O 1.99-2.23
Li  0.7563  0.0676  0.4456  5 O 2.11-2.13
Li  0.7587  0.8165  0.6971  6 O 2.11-2.36
Li  0.7684  0.5656  0.9452  6 O 2.03-2.28
Mn  0.0000  0.5000  0.5000  4 O 1.95-1.97
Mn  0.0084  0.2540  0.7626  4 O 1.91-2.00
Mn  0.4934  0.6227  0.3700  4 O 1.94-1.99
Mn  0.4968  0.8687  0.1164  6 O 1.89-2.04
Mn  0.5032  0.1313  0.8836  6 O 1.89-2.04
Mn  0.5066  0.3773  0.6300  4 O 1.94-1.99
Mn  0.9916  0.7460  0.2374  4 O 1.91-2.00
O  0.1332  0.0634  0.1590  2 Mn 1.91-1.97, 2 Li 2.12-2.13
O  0.1341  0.8200  0.4104  2 Mn 1.95, 3 Li 2.11-2.15
O  0.1444  0.5719  0.6629  2 Mn 1.94-1.99, 2 Li 2.13-2.15
O  0.1563  0.3373  0.9084  1 Mn 1.89, 3 Li 1.99-2.07
O  0.3569  0.5519  0.2094  2 Mn 1.95-1.96, 2 Li 2.13-2.16
O  0.3645  0.3006  0.4657  2 Mn 1.97, 2 Li 2.12
O  0.3865  0.0606  0.7385  3 Mn 1.99-2.04, 2 Li 2.11-2.15
O  0.3965  0.8083  0.9772  2 Mn 1.92, 2 Li 2.07-2.08
-- stop --

---------- Post added at 00:27 ---------- Previous post was at 00:12 ----------

If at the last minute doubt strips off the positive rider you have it hit Amygdala like a magnet. A negative rider now on a negative thought is pretty much a guarantee for panic if it is that kind of thought or OCD or HA if it id hat kind of thought. This is bad because it is twice as strong as it would have been if left alone. This is the out of the blue GAD which you can see isn't is it. The original negative thought is hid under the rider doubt so it looks like there is no reason for GAD when there is. This now puts GAD into the list of curable. Not so with OCD and HA because they have different direction in Amygdala's direction memory. Anxiety is easier to shut down because it deals with neg and pos only. with emotions deciding which one.

03-07-15, 09:37
I don't think it was for me. It was a big decision as it meant throwing away an 11 yeear career in something I was good at. There were other negatives like how getting back into work at a new company could be harder and I wouldn't have the same support as my old one in returning. But there were also some positives in there like how I could get all the pressure of work off my back, sticking two fingers up to them for messing me around (and their faces we a picture when I passed them the envelope, they seemed to think I would keep on taking it!), the possibility of newness when I had got sick to death of my old life and how it never seemed to mean anything anymore. Things like that.

These weren't a quick event either, they were over a period of time. So, there would be fluctuations. So, I guess some would be positive with a negative dragging them down and vice versa.

04-07-15, 00:38
At first when I learn something new there is some anxiety. It is amazing what the mind can do and what it can't but never is there a place where it won't. It seems that way some times but it is just the wrong instruction or lack of instruction.

02-08-15, 11:00
I find change & uncertainty a big problem, like many with anxiety. Do it more often and you build the confidence and the positive starts to come in and overtake those negative riders.

I have found that mood is very important in this. If you can do it in a good mood state, positivity seems more natural and the negative riders don't even get a look in. Do it in a negative mood and its a minefield of negative thought patterns (Cognitive Distortions) and riders that you can't even see unless you have spent a lot of time learning how to spot & work with them. I'm pretty good with the distortions but the riders are still new to me.

When I was at my worst I was doing some Behavioural Activation which I learnt in Guided Self Help. I found this very hard at first. What I learned was that if I have a better day, try to add things in and cement them as new routines and then when my bad periods swiftly came back I would carry them on. I hated it all, like I hated every minute of the day but I didn't let them slip. This meant I pulled myself out of the worst stages by building routines and utilising my better mood states to pull me further forward bit by bit.

09-08-15, 06:16
Presumption is another one that fits in with Cognitive Distortions, namely Jumping To Conclusions. This one will also link in with the exaggeration and the Cognitive Distortions that this is most connected to. Jumping To Conclusions has two subtypes; Mind Reading and Fortune-Telling. Both of these fit easily into presumption.

Even Filtering, Disqualifying The Positive and Emotional Reasoning could fit into a category like this when applied in a forward looking manner.

This is why these "CD's" are so powerful because they link to each other and build off each other too.

blue moon
10-08-15, 02:54
For some reason I keep reading the topic as. Seven Deadly Sins.:D

10-08-15, 04:27
For some reason I keep reading the topic as. Seven Deadly Sins.:D

Yeah, same here :D then I think about gluttony & get hungry followed by worrying about "gluten" (just kidding) :winks:

blue moon
10-08-15, 05:43
I think about greed sitting here eating çhocolate and not sharing,shame on me.:D

10-08-15, 05:48
Same here, with a sharing Aero block thats really not going to be shared...but I would offer you a piece if you were here too :D

blue moon
10-08-15, 06:05
Sitting here lusting over some Turkish Delight,I suppose I could share with you.:D

10-08-15, 06:13
What's his name? :roflmao:

I love TD, one of my favourites from childhood. The sugary ones without chocolate are nice too including the lemon ones.

blue moon
10-08-15, 06:24
My Wrath will come down upon you you cheeky boy:D. mmm I like the lemon TD also:yesyes: